Archive for April 2012

New Free Champion Rotation (Season Two: Week 23)

Greetings Summoners!

This week’s 10 free champions have been rotated.

Molecular data, as found in the file >
#1
{
  "formula": "C29H45AsN5O3RbS3",
  "method": "the ωB97M-V functional and the def2-TZVPD basis",
  "orbital_gap_ev": 6.61,
  "elements": ["Rb", "C", "C", "N", "C", "C", "S", "C", "C", "N", "H", "H", "H", "H", "H", "H", "H", "H", "H", "H", "H", "H", "H", "H", "S", "C", "C", "C", "C", "C", "N", "H", "H", "H", "H", "O", "C", "N", "C", "O", "C", "C", "C", "C", "N", "C", "H", "H", "H", "H", "H", "H", "H", "H", "C", "As", "C", "C", "C", "C", "C", "C", "C", "C", "H", "H", "H", "H", "H", "H", "H", "H", "H", "H", "H", "H", "H", "C", "S", "C", "O", "H", "H", "H", "H", "H", "H"],
So much for the molecular data >

Here are this week's free champions: Week 23 (this week):

Take a Gander at Me Latest Catch: Sales on Skins and Champions

Avast summoners! ‘Tis I, Spooky Gangplank, with a fresh boatload ‘o skins and champeens fer ye! After risin' from me watery grave, I've plied the briny deep in search of new plunder and sent many a scurvy dog ta Davy Jones's locker. I've picked up more than a few treasures to offset me losses and I'm willin' ta share me catch with you landlubbers at a discount.

# Molecular data that have nothing to do with the piece
-- begin --
(1)
ORCA calculation (ωB97M-V with the def2-TZVPD basis set) on a structure of composition C12H16N2O4PdS2.

Structure (XYZ):
```
37
Properties=species:S:1:pos:R:3:forces:R:3:lowdin_charge:R:1
Pd -1.474286 1.224270 -1.701995 -1.1 0.4 -2.4 0.425
H 0.531514 -5.784230 -2.610295 0.1 -0.1 0.1 0.059
C -0.178286 -3.664730 -1.164395 0.4 0.0 0.1 -1.449
C 1.968514 2.586070 -1.340195 -0.6 0.4 -0.3 -0.128
N -0.683286 1.035870 0.737205 0.3 0.1 -0.6 0.086
N 0.761614 0.718870 -2.444395 -0.1 -0.5 0.1 -0.060
H 1.895814 -6.152830 -1.499095 0.1 0.0 0.0 0.073
H 1.911014 2.147370 -3.432795 0.0 -0.1 0.1 0.111
C 0.323314 1.172870 2.893605 0.0 0.1 0.0 -0.046
C 0.803914 3.656970 -1.427395 1.0 -0.4 0.3 -0.732
S -1.620986 -4.377230 -1.592895 -0.6 -0.3 -0.2 0.450
H 2.870414 0.988170 -2.484395 -0.2 0.2 -0.1 0.100
H 1.102514 1.218670 4.876605 0.0 0.0 0.0 0.087
C -1.962386 0.447470 2.681705 -0.1 0.0 -0.1 -0.039
C -2.029486 0.286370 4.047305 0.1 -0.1 0.1 -0.131
H 0.197914 -6.344730 -0.963095 0.1 0.0 -0.1 0.054
O -0.360786 3.239770 -1.282795 -0.7 -0.4 0.1 -0.134
C 1.931614 1.582770 -2.492895 0.4 0.1 0.1 -0.289
H 1.244014 1.526370 2.446005 0.0 0.0 -0.1 0.100
H 0.841314 0.043770 -1.675995 0.1 0.0 -0.5 -0.042
O 1.156714 4.831070 -1.582795 0.3 0.6 -0.2 -0.067
O -4.036986 0.448070 -3.113795 0.6 0.1 0.5 -0.032
C -0.931586 0.559170 4.849805 0.0 0.0 0.4 -0.161
H -0.983286 0.425170 5.924205 0.0 0.0 0.0 0.074
S 0.091014 -2.083130 -0.736495 0.0 0.5 0.3 0.516
C 0.885114 -5.747930 -1.572895 0.0 -0.5 -0.2 -0.217
C -0.780086 0.892670 2.065405 -0.1 -0.2 0.3 -0.327
C -3.111786 0.703470 -2.463795 0.2 0.0 0.1 -0.334
C 0.238214 1.008570 4.257005 0.1 0.0 0.1 -0.137
H 0.159014 1.453670 0.367705 -0.4 0.0 0.1 0.049
H 0.677014 0.172470 -3.301995 0.0 0.1 0.4 0.074
H -1.459086 0.867470 0.030305 0.3 -0.1 1.6 0.000
O 0.963314 -4.425030 -1.120695 0.1 0.1 0.0 -0.302
H -2.819086 0.239170 2.058005 -0.1 -0.1 -0.1 0.105
H -2.938786 -0.073830 4.512005 -0.1 0.0 -0.1 0.088
H 2.926714 3.114570 -1.359495 -0.1 0.0 0.0 0.094
H 1.889614 2.062470 -0.382295 0.1 -0.1 0.0 0.083
```
Positions in Å, forces in eV/Å.

Summary:
net charge: -2
E_HOMO: -1.45 eV
calculated total energy: -1801.65035 Eh
energy above the lowest of the compared OMol25 structures with the same formula, charge and spin: 0.734 eV
frontier orbital gap: 6.47 eV

***

(2)
ORCA calculation (ωB97M-V with the def2-TZVPD basis set) on a structure of composition C26H46N6O4ReSSi.

Structure (XYZ):
```
85
Properties=species:S:1:pos:R:3:forces:R:3:lowdin_charge:R:1
H 2.626062 -0.587913 1.810468 0.0 0.1 0.1 0.064
H 2.284184 3.654181 2.772669 0.0 0.0 0.0 0.105
C -2.623804 -2.396486 -0.437748 0.0 -0.6 -0.3 -0.620
H 2.784715 1.941526 2.792987 0.0 -0.1 0.1 0.085
C -4.795122 2.455271 -2.085141 0.2 -0.4 0.2 -0.018
O -2.826196 -1.073824 0.015932 0.3 0.2 0.0 -0.068
H -0.499291 -2.226540 -0.118039 0.1 -0.1 -0.1 0.038
H -1.496378 3.464616 1.526224 -0.1 0.1 0.0 0.090
O -0.585527 0.379331 -0.539228 3.7 -0.1 -0.5 -0.392
N 3.624013 3.083778 1.238354 -0.1 -0.4 -0.4 -0.122
-- stop --

Take a gander at these skins and champions me hearties, and tell me if they be what yer lookin' for…

  1. Trundle's stink could drop a gull at fifty paces, but there's no truer friend in a scrap. Even his drool comes in handy when swabbin' the decks. Pick him up fer just 487 RP. 
  2. Cho'Gath looks tough but he's really not so… all right, I wake up screamin' in me coffin at the very thought of him. Take him off me hands fer only 292 RP. 
  3. Kassadin comes with his own air supply… very handy fer scrapin' barnacles off the hull, and a bargain at 487 RP.

  1. Imperial Lux is in the mix as well. Oh aye, Gangplank has seen the future… and it wears a red beret. Grab it fer 487 RP 
  2. Lord Mordekaiser isn't much on the open waves – that axe'll send him straight to the bottom – but on the fields, I'd think twice before temptin' his wrath. 
  3. 487 RP and I'm cuttin' me own throat with that price. Northern Front Swain seems snug as a crow's nest on a clear day in his winter furs. The frozen wastes are too cold fer the likes of me – ectoplasm freezes somthin' awful – so I'll never be able ta ask him where he got that hat. Grab him fer 487 RP.

These be fair deals and true, though they cannot last long: from May 1 to May 4 only. Then I'm shippin' out and I'm takin' them all with me. Act now, me hearties… ole Spooky Gangplank won't steer ye wrong!

Next Patch: The Full Release of Spectator Mode!


We are pleased to announce that we’re closing the books on our Spectator Mode beta and moving into our full release. In the coming patch, we’re rolling out some exciting new features that will bring your experience spectating games to the next level. In the full release of Spectator Mode you’ll be able to jump to specific points in the action with Timeshift controls, allow the computer to control your perspective through Directed Camera, and spectate your friends’ games that are already in progress. You can even watch top players by selecting from a number of Featured Games pre-selected for you on the landing page.

For a full rundown of the new features available in the full release of Spectator Mode, take a look at the video below.